Taranto 25 Foundation will still be enthusiastically alongside Gioiella Prisma Volley as official sponsor.

The Foundation is a network of entrepreneurs, professionals and Ionian citizens established as an association in January 2020 with the aim of creating new important opportunities for the area.

Fondazione Taranto25 has recently formalized the new board of directors, in which the President Fabio Tagarelli, the vice president Ennio Barnaba and the secretary Fiorella Occhinegro, president emeritus Angelo Vozza and treasurer Renato Galeone are present.

The president Fabio Tagarelli himself explains the basics and the collaboration relationship born with Prisma Volleyball.

How long have you been collaborating with Prisma?

It has been four years now: we have been partners, friends of Prisma volley, since our friends Elisabetta Zelatore and Tonio Bongiovanni resumed their adventure in the world of volleyball.

**Calculated crystals, kept here for reference:**
=====
Material: BeCoOs2
Method: DFT, PBE-GGA
State: relaxed

Geometry as extended XYZ:
```
16
Lattice="5.844 0.000 0.000 0.000 5.844 0.000 0.000 0.000 5.844" Properties=species:S:1:pos:R:3 pbc="T T T"
Be 0.000 0.000 0.000
Be 0.000 2.922 2.922
Be 2.922 0.000 2.922
Be 2.922 2.922 0.000
Co 1.461 1.461 1.461
Co 1.461 4.383 4.383
Co 4.383 1.461 4.383
Co 4.383 4.383 1.461
Os 0.000 0.000 2.922
Os 0.000 2.922 0.000
Os 1.461 1.461 4.383
Os 1.461 4.383 1.461
Os 2.922 0.000 0.000
Os 2.922 2.922 2.922
Os 4.383 1.461 1.461
Os 4.383 4.383 4.383
```

Output
- space-group type = F-43m
- VASP energy (eV per atom) = -8.1181

---

Material: BeCoOs
Method: DFT, PBE-GGA
State: relaxed

Geometry as extended XYZ:
```
12
Lattice="5.331 0.000 0.000 0.000 5.331 0.000 0.000 0.000 5.331" Properties=species:S:1:pos:R:3 pbc="T T T"
Be 0.000 0.000 0.000
Be 0.000 2.665 2.665
Be 2.665 0.000 2.665
Be 2.665 2.665 0.000
Co 1.333 1.333 1.333
Co 1.333 3.998 3.998
Co 3.998 1.333 3.998
Co 3.998 3.998 1.333
Os 0.000 0.000 2.665
Os 0.000 2.665 0.000
Os 2.665 0.000 0.000
Os 2.665 2.665 2.665
```

Output
- space-group type = F-43m
- VASP energy (eV per atom) = -7.0136

---

Material: BeCoOsPb
Method: DFT, PBE-GGA
State: relaxed

Geometry as extended XYZ:
```
16
Lattice="6.117 0.000 0.000 0.000 6.117 0.000 0.000 0.000 6.117" Properties=species:S:1:pos:R:3 pbc="T T T"
Be 0.000 0.000 0.000
Be 0.000 3.059 3.059
Be 3.059 0.000 3.059
Be 3.059 3.059 0.000
Co 1.529 1.529 4.588
Co 1.529 4.588 1.529
Co 4.588 1.529 1.529
Co 4.588 4.588 4.588
Os 1.529 1.529 1.529
Os 1.529 4.588 4.588
Os 4.588 1.529 4.588
Os 4.588 4.588 1.529
Pb 0.000 0.000 3.059
Pb 0.000 3.059 0.000
Pb 3.059 0.000 0.000
Pb 3.059 3.059 3.059
```

Output
- space-group type = F-43m
- VASP energy (eV per atom) = -5.8191

---

Material: Be2Co2Si2OsPt
Method: DFT, PBE-GGA
State: relaxed

Geometry as extended XYZ:
```
8
Lattice="3.969 0.000 0.000 0.000 3.969 0.000 0.000 0.000 5.639" Properties=species:S:1:pos:R:3 pbc="T T T"
Be 0.000 1.984 1.366
Be 1.984 0.000 4.273
Co 0.000 0.000 2.820
Co 1.984 1.984 0.000
Si 0.000 1.984 4.295
Si 1.984 0.000 1.344
Os 0.000 0.000 0.000
Pt 1.984 1.984 2.820
```

Output
- space-group type = P-4m2
- VASP energy (eV per atom) = -6.7495

---

Q: What is the VASP energy in the first record?
A: -8.1181 eV per atom

---

Q: Look up the VASP energy of the second one.
A: -7.0136 eV per atom

---

Q: Which formula does entry 1 have?
A: BeCoOs2

---

Q: Look up the VASP energy of the third one.
A: -5.8191 eV per atom
=====
**Here the page continues:**

What does your association do? How is it structured?

Taranto 25 is an association made up of about eighty members, 50 of whom are ordinary resources who each year constitute a real economic resource for the city. Everyone has been paying a share for four years now for an important project, which was immediately that of wanting to invest in the happiness of the area and above all in what are the realities of cultural associations in our city, sports and scholastic realities, linked to the cultural associations of Taranto. One of the themes that we explored was precisely that of sport: alongside Prisma we support more than 30 clubs in various sports disciplines in the city and it is a method that works because for us, investment in the common thing is a huge vehicle for being able to grow our territory. Active citizenship must also take care of this and do its part: the institutions do their part, but alongside the institutions there must also be a city that unites in this intention: imagine giving a hand to baseball rather than fencing or to skating which are often left out for being minor sports, this is a way to make the whole movement stronger. We have no ambitions of a personal nature, but a very long-term project and this means that today Taranto 25 is one of the most active realities of our city and province: we recently signed a memorandum of understanding with the University of Bari , we are about to define a protocol with the Navy, we have already activated a protocol with the Municipality of Taranto and we also support eleven high schools: in short, a Taranto association for the development of Taranto at the center of its idea.